Entries >
/*
A relaxed MgHg2Au8 crystal, computed with PBE-GGA.

DOS at the Fermi energy: 8.4 states/eV/cell
M_tot: 0.000 μB per atom
Offset from the most stable computed form: 0.113 eV/atom
ΔH_f (0 K): 0.002 eV per atom
Calculated volume: 248 Å³/f.u.
Calculated total energy: -2.58 eV/atom

Unit cell a=11.0574 b=8.9966 c=5.3545 alpha=90.00 beta=111.16 gamma=90.00
Space group C2/m (No. 12)
Unique sites:
Mg 0.0000 0.0000 0.0000 [2 per cell]
Hg 0.1544 0.0000 0.6168 [4 per cell]
Au 0.0430 0.5000 0.2838 [4 per cell]
Au 0.1250 0.2632 0.0007 [8 per cell]
Au 0.2339 0.5000 0.7869 [4 per cell]
*/

Wanted >
Write out everything above unchanged, please.

Response >
A relaxed MgHg2Au8 crystal, computed with PBE-GGA.

DOS at the Fermi energy: 8.4 states/eV/cell
M_tot: 0.000 μB per atom
Offset from the most stable computed form: 0.113 eV/atom
ΔH_f (0 K): 0.002 eV per atom
Calculated volume: 248 Å³/f.u.
Calculated total energy: -2.58 eV/atom

Unit cell a=11.0574 b=8.9966 c=5.3545 alpha=90.00 beta=111.16 gamma=90.00
Space group C2/m (No. 12)
Unique sites:
Mg 0.0000 0.0000 0.0000 [2 per cell]
Hg 0.1544 0.0000 0.6168 [4 per cell]
Au 0.0430 0.5000 0.2838 [4 per cell]
Au 0.1250 0.2632 0.0007 [8 per cell]
Au 0.2339 0.5000 0.7869 [4 per cell]